Eight tasks for your first 100 days leading an L&D department

At the start of the summer, I asked my LinkedIn L&D network what advice they would give someone new to managing an L&D department – what should they do in their first 100 days? More than 150 comments later, it was clear the question had touched a nerve and sparked some great advice. Here’s a summary of the eight key actions the L&D hivemind recommends for your first 100 days in role:
- Listen and learn
This is, without a doubt, your starting point. Listen, learn and observe – and then do it all again.
Carl Akintola-Davies, head of learning and development (Europe) at Phaidon International, sums this stage up brilliantly: “Looking at the comments on taking the time to listen, understand and connect with people, I’m reminded of the reversal of Oliver Hardy’s catchphrase: ‘Don’t just do something! Stand there!’”
Ultimately, you need to understand the business and culture of your organisation, its priorities and pain points, and the help it needs (remembering that what it wants is often different what it thinks it needs…) to perform better or differently. Understand how the business makes money and how its value chain works.
Review performance data, including current training plans, curricula, recruitment plans, onboarding plans and succession plans to see if there are any current or anticipated skill gaps. Look at the full talent management lifecycle. But remember – what’re you looking for is not just what the organisation is reporting, but what it is experiencing. And usually that’s the stuff excluded from strategy and planning documents – so keep asking and listening and then asking again. Make the most of this time when you’ve got a fresh eye and can provide outside-in thinking.
As Kevin Elliott, senior manager learning and development at FRP Advisory, says, “the most important aspect is spending time getting under the skin of the company to truly understand its people, processes and culture. It is very easy to try and grab the low hanging fruit but you very quickly become an order taker living hand to mouth putting out fires. Make yourself visible, open up lines of communication across all business units / locations but don’t just focus on senior management, try to speak to as many people as possible. Get a flavour of the appetite for L&D across the business, don’t be surprised if it is low in certain areas.”
- Start conversations
But how do you start those crucial conversations? What are the questions you need to ask? Some suggestions:
- What one thing could I change that would make the biggest difference to you as an individual, your team and the organisation?
- What are the capabilities you need in your team in the next three to five years’ time and what is your current assessment of your team?
- What should the role of L&D be in this organisation?
Marco Hönig, global capability development director at dss+, advocates a slide-based approach. He recommends gradually building and refining three slides, which are both informed by your conversations and used to facilitate them:
Slide 1: draw the company’s L&D value chain together with your conversation partners. It will change a bit with every conversation, but it will give you a good understanding of what different people see as inside/outside of your scope.
Slide 2: draw a (mind) map of the biggest learning needs in the organisation. Again, this is a great conversation starter and allows you to understand the development needs. It might also be the foundation of a future competency/skill map.
Slide 3: ask every conversation partner what they could contribute to upskilling.
- Build your stakeholder relationships
Management support is critical to success – what are their expectations and perceptions of L&D? How much involvement do managers have and want in their team’s development? Your conversations in steps 1 and 2 are part of this vital stage: building a network. Remember, at some point in the future you may need these people’s support – and it will be far more easily won on the back of an existing relationship.
L&D professional Candice Mitchell, who was in the middle of her first 100 days, notes that, “the first bit of structure I’m adding is a performance consultative approach. Managing expectations from order taker to performance partner is critically important and we need to set ourselves up for success from the get go.”
Rashmi Rajopadhye of Datametica Solutions set up an L&D function in a greenfield site a year ago and made a point of reaching out to managers and leaders, including project managers and business unit directors: “After meeting them, I understood their pain areas. I kept it a mix of formal meetings and casual coffee conversations. This helped me create a relationship with them. Going to these meetings prepared and offering quick solutions to them helped me gain their trust.”
- Dig into the data
Before creating any kind of plan, dig into all the data you can get your hands on –performance data, employee survey data, exit surveys and attrition data. Does the organisation have a data analytics team? If so, talk to them and understand how they set up their metrics structures and, as Clare Stewart Munn, co-founder BoxMedia.io, suggests, ”understand if the organisation has a data analytics strategy that ties into assessment/metrics around growth. If not, I’d highly recommend getting training put in on understanding the fundamentals of data analytics for team leaders across the company.”
But heed the warning of Mark DeBlock, training specialist at IAC Group, that “sometimes in data-rich businesses there is often a focus on inappropriate data. We have to remember that not everything that can be counted, counts and not everything that counts can be counted!”
- Be realistic …
Be realistic about what you can put in place in 100 days – or even your first year. Be wary of over-promising and under-delivering. If you are new in post you are not only establishing the role of L&D, you are establishing how it – and you – are perceived by the organisation. Be prepared to turn down requests for training that will drain away your resources and time, and, where you do decide to engage, focus on over-delivering.
(Here the article breaks off for calculated molecules)
Record 1
This record from the Open Molecules 2025 dataset describes a 2-piece molecular cluster, C3H3BrN2S overall in a non-equilibrium geometry. The level of theory is ωB97M-V/def2-TZVPD.

As for the HOMO energy (spin up / spin down): -8.9 / -8.9 eV. The calculation puts the lowest unoccupied orbital energy (spin up / spin down) at -2.993 / -2.992 eV. Its gap between HOMO and LUMO (spin up / spin down) is 5.92 / 5.93 eV. The value obtained for the total energy is -87013.1723 eV. The energy above the lowest of the compared OMol25 structures with the same formula, charge and spin comes out at 324.7 kJ/mol.

ORCA input file:
```
! RIJCOSX wB97M-V def2-TZVPD def2/J DEFGRID3
* xyz 0 1
Br 3.6178 1.0563 -0.0209
S 3.4967 -1.0400 0.3244
N 0.0107 0.6224 0.1626
N -0.4962 -1.4581 -0.3912
C -1.6601 -0.7412 -0.2519
C 0.4166 -0.6060 -0.1526
C -1.3653 0.5506 0.0895
H -2.6072 -1.2157 -0.4102
H -1.9898 1.3972 0.2917
H 0.5769 1.4343 0.3587
*
```

Record 2
This record from the Open Molecules 2025 dataset describes C3H3BrN3O2S as an isolated structure in a non-equilibrium geometry. The level of theory is ωB97M-V/def2-TZVPD.

As for the HOMO energy: -4.3 eV. The calculation puts the lowest unoccupied orbital energy at 3.165 eV. Its gap between HOMO and LUMO is 7.49 eV. The value obtained for the total energy is -92600.2056 eV. The energy above the lowest of the compared OMol25 structures with the same formula, charge and spin comes out at 198.4 kJ/mol.

ORCA input file:
```
! RIJCOSX wB97M-V def2-TZVPD def2/J DEFGRID3
* xyz -1 1
Br -4.1881 1.6208 -1.8408
S -1.4055 1.6754 -3.0262
O -1.4084 0.6391 -4.0141
O -0.1003 1.8375 -2.3334
N -0.0470 0.2365 1.0732
N -2.4123 -0.3103 -1.0414
N -1.9330 -1.3249 -0.7358
C -2.4526 0.8889 -1.3948
C -0.9206 0.3969 1.8482
C 0.8256 -0.0557 -0.0051
H 0.4919 0.4990 -0.9137
H 1.8724 0.2251 0.2205
H 0.8401 -1.2234 -0.1966
*
```

Record 3
This record from the Open Molecules 2025 dataset describes an isolated ion of composition C3H3BrNO3 and charge -1 in a non-equilibrium geometry. The level of theory is ωB97M-V/def2-TZVPD.

Its SMILES is O=CN[C@H](Br)C(=O)[O-]. As for the HOMO energy: -4.9 eV. The calculation puts the lowest unoccupied orbital energy at 3.362 eV. Its gap between HOMO and LUMO is 8.29 eV. The value obtained for the total energy is -80836.6660 eV. The energy above the lowest of the compared OMol25 structures with the same formula, charge and spin comes out at 0.0 kJ/mol.

ORCA input file:
```
! RIJCOSX wB97M-V def2-TZVPD def2/J DEFGRID3
* xyz -1 1
Br 2.3569 -1.1001 0.4837
O -1.7202 -1.2988 -1.1578
O 0.8292 1.7287 1.0893
O 1.0852 1.9768 -1.1395
N -0.4806 -0.5218 0.5472
C 0.6784 -0.1761 -0.3074
C 0.8583 1.3568 -0.0902
C -1.6074 -0.8789 -0.0378
H 0.6328 -0.4684 -1.3469
H -2.4268 -0.7142 0.6441
H -0.2059 0.0959 1.3154
*
```

Record 4
This record from the Open Molecules 2025 dataset describes a 2-piece molecular cluster, C3H3BrO overall in a non-equilibrium geometry. The level of theory is ωB97M-V/def2-TZVPD.
This is especially true if you are an L&D department of one person. Kevin Elliott wisely advises that, “If you are on your own, be realistic about what you are capable of. The balance between what you buy, what you build and what you borrow will initially be heavily weighted towards the last two.”
- … but grab some quick wins
While being realistic about how much you can achieve in a short timeframe, it’s also pragmatic to aim for a few, actionable quick wins before you launch your overall plan. This helps people see that, although you’re new, you’re serious. Efthymis Papadopoulos, commercial director at Pricefox.gr, recommends “some quick and easy trainings to show stakeholders you have listened to their needs and taken actions. After the completion of the quick wins, ask for feedback and ideas from the stakeholders.”
- Consider your comms
It’s important to spread the word of who you are and what you are doing. In your early conversations in the organisation, don’t forget about your internal communications and intranet colleagues to ensure that your team’s efforts are getting the profile they need and deserve.
According to web and comms professional Simon Thompson, “no decent intranet manager is going to turn down a ready supply of news stories, especially if they show growth and commitment to corporate values. There may be a lot more that can be done to support training and onboarding across your various platforms, so look for conversations that can do this.”
With their help, identify specific opportunities to spread the word. As Chris Croshaw, L&D manager at Lucion Group, explains, “Learning at Work Week has come along just at the right time, so I’ll be using this to effectively ‘launch’ the L&D function. This will include sending out links to free learning resources, encouraging feedback to our ‘new’ mailbox, and a survey, to everyone, about what things are like right now.”
- Look after yourself
Finally, never forget your own training and skilling. Your first 100 days will be busy, exciting, sometimes stressful Find a good mentor within your professional network to bounce ideas off, have the occasional vent to and reflect on progress with. Keep up with your professional networks and carry on learning.
Finally, some important notes:
- This was written with the invaluable help of Michelle Pauli.
- For length reasons, I’ve drawn on only a handful of great examples from the 150+ on the original post. Thank you to everyone who commented, all your contributions were useful whether explicitly acknowledged here or not. Please do check out the original post to see all the discussion.
- Other people who have talked about explicitly the first 100 days in L&D include Helen Bailey – read her blog post
**Here the piece breaks off for molecular data**
____________
(1)
ORCA calculation (ωB97M-V/def2-TZVPD) on a structure of composition C4H17NO3PV at a distorted geometry.

The energy above the lowest of the compared OMol25 structures with the same formula, charge and spin is 21.7 kcal per mole. For the max |F|, the calculation gives 2.88 eV Å⁻¹. The expectation value of S² is 0.983. The calculation puts the highest occupied orbital energy (alpha / beta) at -11.83 / -11.65 eV. The calculation puts the total energy at -1728.0523 Ha.

ORCA input file:
```
! wB97M-V def2-TZVPD RIJCOSX def2/J DEFGRID3
* xyz 1 2
C 1.913 -3.151 1.183
V 1.339 -1.412 0.177
N 2.838 -0.043 -0.552
H 0.028 -1.015 1.051
H 0.671 -0.846 -1.152
H 0.911 -3.549 1.251
H 2.352 -2.685 2.059
H 2.544 -3.404 0.329
H 3.044 0.781 0.030
H 2.462 0.359 -1.418
H 3.729 -0.489 -0.790
C -0.226 2.645 -0.770
O 0.362 1.425 -0.306
P -0.476 0.043 -0.189
O -1.751 0.477 0.783
C -1.590 1.328 1.947
O -1.327 -0.032 -1.519
C -2.521 -0.835 -1.545
H -1.148 2.490 -1.367
H 0.537 3.141 -1.390
H -0.451 3.267 0.112
H -0.638 1.150 2.479
H -1.666 2.393 1.664
H -2.433 1.080 2.609
H -2.600 -1.525 -0.685
H -3.373 -0.136 -1.539
H -2.532 -1.456 -2.453
*
```

Here are the natural (NBO) charges for atoms 1 to 5, given in e:
1. C -1.045
2. V 0.806
3. N -1.062
4. H -0.081
5. H -0.132


(2)
ORCA calculation (ωB97M-V/def2-TZVPD) on a cluster of 2 separate species, C2H3NO in total at a distorted geometry.

The energy above the lowest of the compared OMol25 structures with the same formula, charge and spin is 44.0 kcal per mole. As for the SMILES: C#N.C=O. For the max |F|, the calculation gives 3.80 eV Å⁻¹. The calculation puts the highest occupied orbital energy at -10.40 eV. The calculation puts the total energy at -207.9276 Ha.

ORCA input file:
```
! wB97M-V def2-TZVPD RIJCOSX def2/J DEFGRID3
* xyz 0 1
C 1.920 -1.952 0.362
N 2.691 -1.393 0.987
H 1.336 -2.684 -0.102
C -0.457 0.789 -0.294
O 0.000 -0.281 -0.646
H -1.090 1.569 -0.664
H -0.070 1.232 0.666
*
```

Here are the natural (NBO) charges for atoms 1 to 5, given in e:
1. C 0.101
2. N -0.329
3. H 0.223
4. C 0.294
5. O -0.501


(3)
ORCA calculation (ωB97M-V/def2-TZVPD) on a structure of composition C50H44BrN9NiO2P.

For the max |F|, the calculation gives 0.82 eV Å⁻¹. The expectation value of S² is 2.005. The calculation puts the highest occupied orbital energy (alpha / beta) at -3.90 / -3.87 eV. The calculation puts the total energy at -6998.8197 Ha.

ORCA input file:
```
! wB97M-V def2-TZVPD RIJCOSX def2/J DEFGRID3
* xyz -1 3
Ni -0.607 -0.505 1.078
Br 2.522 3.479 -6.671
C 3.101 4.019 -4.945
C 3.033 5.354 -4.592
C 3.468 5.736 -3.332
C 3.932 4.792 -2.425
C 4.015 3.454 -2.808
C 3.600 3.067 -4.068
N 4.492 5.275 -1.194
N 4.325 4.675 -0.107
C 3.398 3.640 0.070
C 3.877 2.552 0.787
C 3.183 1.360 0.886
C 1.890 1.210 0.335
O 1.261 0.114 0.423
C 1.338 2.379 -0.347
N 0.105 2.241 -0.869
C -0.489 3.282 -1.392
C 0.094 4.561 -1.416
C 1.371 4.705 -0.951
C 2.064 3.587 -0.437
H 2.655 6.087 -5.291
H 3.448 6.778 -3.037
H 4.386 2.710 -2.114
____________
- This topic isn’t going away – we’ll be running a session on it at the Learning Technologies Conference in London, in May 2023.